**Exercise**
Echo everything below exactly, please.

**Source**
ZnAsHPbO5 | GGA-PBE | relaxed

```
ZnAsHPbO5
1.0
6.098 0.000 0.000
0.000 7.603 0.000
0.000 0.000 9.355
Zn As H Pb O
4 4 4 4 20
direct
0.239 0.237 0.007
0.261 0.763 0.507
0.739 0.263 0.993
0.761 0.737 0.493
0.010 0.879 0.187
0.490 0.121 0.687
0.510 0.621 0.813
0.990 0.379 0.313
0.010 0.506 0.989
0.490 0.494 0.489
0.510 0.994 0.011
0.990 0.006 0.511
0.027 0.366 0.672
0.473 0.634 0.172
0.527 0.134 0.328
0.973 0.866 0.828
0.004 0.393 0.935
0.009 0.560 0.426
0.059 0.701 0.078
0.234 0.358 0.220
0.239 0.891 0.297
0.261 0.109 0.797
0.266 0.642 0.720
0.441 0.299 0.578
0.491 0.440 0.926
0.496 0.607 0.435
0.504 0.107 0.065
0.509 0.940 0.574
0.559 0.799 0.922
0.734 0.142 0.780
0.739 0.609 0.703
0.761 0.391 0.203
0.766 0.858 0.280
0.941 0.201 0.422
0.991 0.060 0.074
0.996 0.893 0.565
```

Raw total energy   -5.488 eV per atom

***

AsH2PdO5 | GGA-PBE | relaxed

```
AsH2PdO5
1.0
3.479 -3.895 0.000
3.479 3.895 0.000
-2.924 0.000 6.907
As H Pd O
2 4 2 10
direct
0.080 0.920 0.750
0.920 0.080 0.250
0.373 0.450 0.300
0.450 0.373 0.800
0.550 0.627 0.200
0.627 0.550 0.700
0.000 0.500 0.000
0.500 0.000 0.500
0.184 0.268 0.831
0.193 0.795 0.556
0.205 0.807 0.944
0.268 0.184 0.331
0.384 0.616 0.250
0.616 0.384 0.750
0.732 0.816 0.669
0.795 0.193 0.056
0.807 0.205 0.444
0.816 0.732 0.169
```

Raw total energy   -5.434 eV per atom

***

SmAsHO4 | GGA-PBE | relaxed

```
SmAsHO4
1.0
4.980 0.000 0.000
0.000 5.604 0.000
-0.511 0.000 5.576
Sm As H O
2 2 2 8
direct
0.000 0.244 0.250
0.000 0.756 0.750
0.500 0.328 0.750
0.500 0.672 0.250
0.500 0.000 0.000
0.500 0.000 0.500
0.232 0.419 0.954
0.232 0.581 0.454
0.302 0.090 0.577
0.302 0.910 0.077
0.698 0.090 0.923
0.698 0.910 0.423
0.768 0.419 0.546
0.768 0.581 0.046
```

Total moment   0.0 μB per cell
Raw total energy   -6.495 eV per atom


Here is a relaxed FePtOF2 crystal from Alexandria. Energies are from PBE with a Hubbard U.

**Done**
ZnAsHPbO5 | GGA-PBE | relaxed

```
ZnAsHPbO5
1.0
6.098 0.000 0.000
0.000 7.603 0.000
0.000 0.000 9.355
Zn As H Pb O
4 4 4 4 20
direct
0.239 0.237 0.007
0.261 0.763 0.507
0.739 0.263 0.993
0.761 0.737 0.493
0.010 0.879 0.187
0.490 0.121 0.687
0.510 0.621 0.813
0.990 0.379 0.313
0.010 0.506 0.989
0.490 0.494 0.489
0.510 0.994 0.011
0.990 0.006 0.511
0.027 0.366 0.672
0.473 0.634 0.172
0.527 0.134 0.328
0.973 0.866 0.828
0.004 0.393 0.935
0.009 0.560 0.426
0.059 0.701 0.078
0.234 0.358 0.220
0.239 0.891 0.297
0.261 0.109 0.797
0.266 0.642 0.720
0.441 0.299 0.578
0.491 0.440 0.926
0.496 0.607 0.435
0.504 0.107 0.065
0.509 0.940 0.574
0.559 0.799 0.922
0.734 0.142 0.780
0.739 0.609 0.703
0.761 0.391 0.203
0.766 0.858 0.280
0.941 0.201 0.422
0.991 0.060 0.074
0.996 0.893 0.565
```

Raw total energy   -5.488 eV per atom

***

AsH2PdO5 | GGA-PBE | relaxed

```
AsH2PdO5
1.0
3.479 -3.895 0.000
3.479 3.895 0.000
-2.924 0.000 6.907
As H Pd O
2 4 2 10
direct
0.080 0.920 0.750
0.920 0.080 0.250
0.373 0.450 0.300
0.450 0.373 0.800
0.550 0.627 0.200
0.627 0.550 0.700
0.000 0.500 0.000
0.500 0.000 0.500
0.184 0.268 0.831
0.193 0.795 0.556
0.205 0.807 0.944
0.268 0.184 0.331
0.384 0.616 0.250
0.616 0.384 0.750
0.732 0.816 0.669
0.795 0.193 0.056
0.807 0.205 0.444
0.816 0.732 0.169
```

Raw total energy   -5.434 eV per atom

***

SmAsHO4 | GGA-PBE | relaxed

```
SmAsHO4
1.0
4.980 0.000 0.000
0.000 5.604 0.000
-0.511 0.000 5.576
Sm As H O
2 2 2 8
direct
0.000 0.244 0.250
0.000 0.756 0.750
0.500 0.328 0.750
0.500 0.672 0.250
0.500 0.000 0.000
0.500 0.000 0.500
0.232 0.419 0.954
0.232 0.581 0.454
0.302 0.090 0.577
0.302 0.910 0.077
0.698 0.090 0.923
0.698 0.910 0.423
0.768 0.419 0.546
0.768 0.581 0.046
```

Total moment   0.0 μB per cell
Raw total energy   -6.495 eV per atom


Here is a relaxed FePtOF2 crystal from Alexandria. Energies are from PBE with a Hubbard U.